
From Living Building Science

Revision as of 17:37, 7 December 2020 by Gtibi3 (talk | contribs) (→‎Methods)


The purpose of this subteam is to monitor and analyze biodiversity around the Kendeda building and observe different factors that affect wildlife on campus.

For the Fall 2020 semester, we have chosen to focus our efforts on birds. Through bird collision monitoring as well as AudioMoth data, we planned at looking at the current status of the bird population at Tech as well as the different factors affecting it.

Bird Collision Monitoring

Birds are an important element of their respective environments. In addition to the intrinsic significance as well as the cultural value that birds possess, they play a vital role in regenerating habitats by pollinating plants and dispersing seeds. Birds control insect and rodent populations, reducing damage to crops and limiting the transmission of diseases. Unfortunately, there collision with windows poses a great threat to these birds. One-third of all bird species in the United States fall victims to bird collisions. It is the second greatest source of mortality due to human action behind domestic cats. If no action is taken to prevent bird collisions, this will result in a significant decrease in bird populations that will ultimately negatively impact the surrounding community as a whole. As part of Kendeda’s effort to be eco and wildlife-friendly, it makes use of bird-safe glass to help undermine this issue. One third of Kendeda’s windows are bird-safe, and that is predominately at the west side of the building, as opposed to the east side’s windows being non bird-safe. Knowing this, we wanted to see if these bird-safe windows were actually as effective as they claim to be. As such, we wanted to answer the question: “How effective are Kendeda’s bird-safe windows at preventing bird collisions as compared to non bird-safe windows at Kendeda and other buildings on campus?”


Every weekday around 6:45-7AM beginning 10/5/2020 and ending 11/17/2020, we searched the area around the Kendeda, ISYE, and Price Gilbert buildings for any dead or injured birds. It is important to search up to 30 feet from the building and in any plants, as injured birds may take shelter there. Any birds found are photographed and logged in our iNaturalist project (titled "Bird Collisions GT VIP") and on the Georgia Audubon bird collision map. If any injured birds are found, we would contact Adam Betuel who will arrange transportation to a rehab facility. Birds that we find are also stored in a freezer until they can later be deliver to Adam Betuel.

We got in contact with facilities to get their assistance with recording bird collisions, since they would be able to observe occurrences that we might have missed, picked up before we got to the scene, or happened at times outside our monitoring period. Facilities agreed to notify us of such events by email and were continuously doing so throughout the semester. Their notifications would include a picture of the bird collision, its location, the time that the collision occurred at, and sometimes the species if they were able to identify it.

In addition to our own recordings of the bird strikes, we were also given access to the Georgia Audubon Map of bird collisions around the Georgia Tech campus to add our observations in. We used the map for both recording collisions as well as analyzing previous collisions to get a more accurate representation of bird strikes around campus.

We created an iNaturalist project to maintain our observations in. For each observation, we included the time, place, and species of bird along with a picture of the dead bird. We also created a pamphlet that included information about bird collisions and our own project. We called on readers to help out by sending any bird strike they encounter to our email or uploading it directly to our iNaturalist project. We shared the pamphlet with several organizations, and we received replies from Tech4Wildlife and HumaniTech saying they would pass it along to their members. BBUGS also included our message in their weekly newsletter.

........
Starting from the PBE+U geometry in Alexandria, the powder diffraction line list of CaNi2F8 was computed for Cu Kα (weighted mean of Kα1 and Kα2).
Lines closer than 0.1° are merged.

Most intense lines, 2θ from 15° to 90°, low angle first:
2theta, I (rel.)
26.8, 98
27.3, 100
31.1, 23
45.6, 12
47.4, 19
47.6, 32
48.4, 19
55.3, 37
56.2, 22
62.7, 16

Structure:
a b c (Å): 6.6498 6.6498 3.9761
angles (deg): 90.00 90.00 120.00
Positions (direct):
Ca  0.0000  0.0000  0.0000
Ni  0.3333  0.6667  0.2876
Ni  0.6667  0.3333  0.7124
F  0.1755  0.8225  0.2617
F  0.1775  0.3530  0.2617
F  0.3333  0.6667  0.7698
F  0.3530  0.1755  0.7383
F  0.6470  0.8245  0.2617
F  0.6667  0.3333  0.2302
F  0.8225  0.6470  0.7383
F  0.8245  0.1775  0.7383

=====

No. 1
# Zr5GaSn3
Theoretical XRD peak list, λ = 1.5418 Å (Cu Kα). Input: DFT lattice parameters and positions (GGA-PBE).

Main lines, sorted by position (15 to 90 degrees two-theta):
2theta, Rel. int.
34.87, 75
35.63, 82
36.70, 100
45.92, 24
52.08, 23
74.37, 19

Structure:
```
Zr5GaSn3
1.0
8.7287 0.0000 0.0000
-4.3643 7.5593 0.0000
0.0000 0.0000 5.9161
Zr Ga Sn
10 2 6
Cartesian
-1.1641 2.0162 1.4790
-3.2003 5.5430 4.4371
2.3281 0.0000 1.4790
1.1641 2.0162 4.4371
0.0000 5.0395 0.0000
0.0000 5.0395 2.9580
4.3643 2.5197 0.0000
4.3643 2.5197 2.9580
6.4006 0.0000 4.4371
3.2003 5.5430 1.4790
0.0000 0.0000 0.0000
0.0000 0.0000 2.9580
-1.6923 2.9311 4.4371
-2.6720 4.6281 1.4790
3.3846 0.0000 4.4371
1.6923 2.9311 1.4790
5.3441 0.0000 1.4790
2.6720 4.6281 4.4371
```

No. 2
# SrGa2
Theoretical XRD peak list, λ = 1.5418 Å (Cu Kα). Input: DFT lattice parameters and positions (GGA-PBE).

Main lines, sorted by position (15 to 90 degrees two-theta):
2theta, Rel. int.
30.07, 100
37.28, 20
41.45, 44
52.05, 21
56.96, 34
68.62, 18

Structure:
```
SrGa2
1.0
4.3569 0.0000 0.0000
-2.1784 3.7732 0.0000
0.0000 0.0000 4.8240
Sr Ga
1 2
Cartesian
0.0000 0.0000 0.0000
0.0000 2.5154 2.4120
2.1784 1.2577 2.4120
```

No. 3
# Sr8Ga7
Theoretical XRD peak list, λ = 1.5418 Å (Cu Kα). Input: DFT lattice parameters and positions (GGA-PBE).

Main lines, sorted by position (15 to 90 degrees two-theta):
2theta, Rel. int.
26.62, 48
29.40, 100
30.27, 80
31.95, 32
36.57, 62
38.71, 65

Structure:
```
Sr8Ga7
1.0
12.5280 0.0000 0.0000
0.0000 12.5280 0.0000
0.0000 0.0000 12.5280
Sr Ga
32 28
Cartesian
0.0506 2.4774 11.7993
0.2776 2.5692 5.4758
0.7287 6.3146 3.7866
0.7882 12.2503 8.8332
2.3309 10.1971 3.9331
2.3595 8.6235 10.1685
2.4774 11.7993 0.0506
2.5692 5.4758 0.2776
3.6948 7.0522 6.5416
3.7866 0.7287 6.3146
3.9045 3.9045 3.9045
3.9331 2.3309 10.1971
5.4758 0.2776 2.5692
5.5353 6.2134 10.0505
5.9863 9.9588 11.7398
6.2134 10.0505 5.5353
6.3146 3.7866 0.7287
6.5416 3.6948 7.0522
6.9927 12.4774 8.7414
7.0522 6.5416 3.6948
8.5949 8.5949 8.5949
8.6235 10.1685 2.3595
8.7414 6.9927 12.4774
8.8332 0.7882 12.2503
9.9588 11.7398 5.9863
10.0505 5.5353 6.2134
10.1685 2.3595 8.6235
10.1971 3.9331 2.3309
11.7398 5.9863 9.9588
11.7993 0.0506 2.4774
12.2503 8.8332 0.7882
........


Conclusion and Future Research

Team Members

**Inserted here: calculated crystals:**
(1)
Computed powder XRD pattern of SrPd3S4 for Cu Kα, 1.54184 Å, from DFT lattice parameters and positions (GGA-PBE).

The 10 most intense peaks (2θ = 15–90°), in order of falling intensity:
hkl 2 1 0, 2θ 29.4, I = 100.0
hkl 2 1 1, 2θ 32.3, I = 64.2
hkl 3 2 1, 2θ 50.3, I = 36.2
hkl 4 0 0, 2θ 54.1, I = 27.1
hkl 2 2 2, 2θ 46.4, I = 26.2
hkl 3 2 0, 2θ 48.4, I = 24.7
hkl 4 2 1, 2θ 62.8, I = 22.3
hkl 5 2 0, 2θ 75.5, I = 19.2
hkl 4 4 0, 2θ 80.0, I = 17.0
hkl 6 1 1, 2θ 89.0, I = 10.9

Structure:
a b c (Å): 6.783 6.783 6.783
angles (deg): 90.00 90.00 90.00
Space group Pm-3n (No. 223)
Asymmetric unit:
Sr (0.000, 0.000, 0.000)
Pd (0.000, 0.250, 0.500)
S (0.250, 0.250, 0.250)

(2)
Computed powder XRD pattern of SrPdS4 for Cu Kα, 1.54184 Å, from DFT lattice parameters and positions (GGA-PBE).

The 10 most intense peaks (2θ = 15–90°), in order of falling intensity:
hkl 1 3 1, 2θ 27.8, I = 100.0
hkl 1 1 1, 2θ 22.7, I = 67.0
hkl 0 4 2, 2θ 34.4, I = 47.9
hkl 0 0 2, 2θ 25.7, I = 31.5
hkl 2 0 2, 2θ 44.9, I = 28.6
hkl 2 4 0, 2θ 43.0, I = 27.8
hkl 2 4 1, 2θ 45.1, I = 23.4
hkl 1 5 0, 2θ 33.6, I = 20.5
hkl 1 3 3, 2θ 46.6, I = 19.6
hkl 1 1 3, 2θ 43.5, I = 18.7

Structure:
a b c (Å): 4.966 15.791 6.941
angles (deg): 90.00 90.00 90.00
Space group Pbcn (No. 60)
Asymmetric unit:
Sr (0.000, 0.143, 0.250)
Pd (0.000, 0.408, 0.250)
S (0.175, 0.198, 0.667)
S (0.211, 0.006, 0.999)

(3)
Computed powder XRD pattern of Ta2PdS4 for Cu Kα, 1.54184 Å, from DFT lattice parameters and positions (GGA-PBE).

The 10 most intense peaks (2θ = 15–90°), in order of falling intensity:
hkl 2 1 1, 2θ 29.0, I = 100.0
hkl 4 0 0, 2θ 50.5, I = 58.1
hkl 1 0 5, 2θ 46.1, I = 40.6
hkl 2 2 0, 2θ 35.1, I = 33.9
hkl 1 0 1, 2θ 15.0, I = 29.0
hkl 2 0 2, 2θ 30.3, I = 22.9
hkl 2 0 0, 2θ 24.6, I = 14.4
hkl 3 0 5, 2θ 59.3, I = 13.4
hkl 5 0 3, 2θ 70.8, I = 12.0
hkl 4 1 5, 2θ 70.7, I = 10.5

Structure:
a b c (Å): 7.225 7.225 10.239
angles (deg): 90.00 90.00 90.00
Space group I4_1/amd (No. 141, origin choice 2)
Asymmetric unit:
Ta (0.000, 0.000, 0.000)
Pd (0.000, 0.250, 0.375)
S (0.000, 0.012, 0.757)

(4)
Computed powder XRD pattern of TaTl2PdS4 for Cu Kα, 1.54184 Å, from DFT lattice parameters and positions (GGA-PBE).

The 10 most intense peaks (2θ = 15–90°), in order of falling intensity:
hkl 0 2 6, 2θ 27.0, I = 100.0
hkl 2 2 0, 2θ 33.7, I = 56.3
hkl 2 0 6, 2θ 38.8, I = 51.4
hkl 1 3 3, 2θ 28.3, I = 41.9
hkl 1 1 1, 2θ 17.1, I = 38.8
hkl 2 4 6, 2θ 48.3, I = 37.5
hkl 0 4 0, 2θ 27.6, I = 36.9
hkl 1 3 5, 2θ 32.3, I = 31.7
hkl 1 1 3, 2θ 20.3, I = 28.0
hkl 0 6 6, 2θ 48.5, I = 26.3

Structure:
a b c (Å): 5.827 12.925 23.015
angles (deg): 90.00 90.00 90.00
Space group Fddd (No. 70, origin choice 2)
Asymmetric unit:
Ta (0.125, 0.125, 0.125)
Tl (0.125, 0.125, 0.298)
Pd (0.125, 0.125, 0.625)
S (0.103, 0.274, 0.434)

(5)
Computed powder XRD pattern of Th2PdS for Cu Kα, 1.54184 Å, from DFT lattice parameters and positions (GGA-PBE).

The 10 most intense peaks (2θ = 15–90°), in order of falling intensity:

Name Major Years Active
Ghaith Al Tibi Biology Fall 2020 - Present
Bailey Abel Biology Fall 2020 - Present
Sara Delawalla Earth and Atmospheric Sciences Fall 2020 - Present
Zyra Shahbazi Biology Fall 2020 - Present